How to Use American Rescue Plan Act K-12 Education Funds to Identify and Support Children and Youth Experiencing Homelessness

The American Rescue Plan Act (ARP), Congress’ most recent package for COVID-19 relief provides nearly $123 billion in aid for K-12 education through the Elementary and Secondary School Emergency Relief Fund (ESSER), including several reservations to support students experiencing homelessness and other marginalized student groups.

In addition to the $123 billion in ESSER funds, ARP includes $800 million in funding specifically dedicated to support the identification, enrollment, and school participation of children and youth experiencing homelessness, including through wrap-around services. A summary of the timing, allocation, and uses of these funds is here.

SEAs and LEAs should strategically use and leverage both ARP ESSER funds and dedicated homelessness funding to locate, engage, maintain connection, and support children and youth experiencing homelessness.

How can state education agencies use ARP funds for students experiencing homelessness?

Add capacity for Office of the State Coordinator for the Education of Homeless Children and Youth to:

Someone pasted calculated molecules at this point =
- - -
The following is a DFT calculation (ωB97M-V with the def2-TZVPD basis set) of C20H31IrN5OSSi as an isolated structure in a non-equilibrium geometry.

Its energy relative to the best compared isomer or geometry (same formula, charge and spin) is 41.7 kcal per mole. As for the spin multiplicity: 2. The expectation value of S² is 0.757. The HOMO energy (spin up / spin down) is -6.175 / -6.882 eV.

Geometry as XYZ:
```
60
Properties=species:S:1:pos:R:3:forces:R:3
Ir 0.43876 -0.14634 0.30537 -2.1 1.3 0.1
C -2.21387 1.79566 0.61985 0.4 0.2 -0.2
C -0.93315 2.52801 1.11247 -0.2 -0.1 0.2
N 0.26112 2.17529 0.33786 0.4 -0.4 0.1
C 0.27610 2.85543 -0.96734 0.1 -0.1 -0.1
C 0.87718 1.97404 -2.04625 0.0 0.0 0.2
N 0.36494 0.61436 -1.96607 0.3 -1.0 -0.4
C -0.94520 0.30335 -2.54000 -0.1 0.3 0.1
C -2.11685 0.82165 -1.69265 0.1 0.1 0.1
N -1.89356 0.67070 -0.24916 -0.6 -0.5 0.0
H -2.90322 2.48389 0.12000 0.1 0.1 0.0
H -2.71524 1.42671 1.51061 -0.1 -0.1 0.0
H -0.74096 2.22910 2.13928 -0.1 0.1 0.0
H -1.11662 3.60873 1.10496 0.1 0.0 0.0
H 1.09958 2.36594 0.87347 -0.1 0.3 0.0
H 0.83617 3.79324 -0.92415 0.0 0.1 0.1
H -0.74872 3.11384 -1.23181 0.0 0.0 0.1
H 1.95309 1.91775 -1.86574 0.0 -0.1 -0.1
H 0.71837 2.41255 -3.03993 0.0 0.1 0.0
H 1.03606 0.01608 -2.43648 -0.1 0.0 0.0
H -1.00734 -0.78424 -2.58929 0.1 0.0 0.0
H -1.04937 0.69981 -3.55950 0.0 0.0 0.0
H -3.00285 0.26309 -2.00563 -0.1 0.1 0.0
H -2.31598 1.87054 -1.91757 0.0 0.0 0.0
H -2.39062 -0.14953 0.06785 0.1 0.0 0.1
S -0.69745 -2.32369 -0.00009 1.0 0.5 0.2
C 0.36604 -3.42663 0.69380 -0.2 -0.4 0.2
N 1.08520 -4.21024 1.15722 0.0 0.2 -0.2
C 1.39394 1.39688 3.34327 0.0 0.2 -0.1
Si 0.49832 -0.14011 2.66070 0.2 -0.9 -0.7
C 1.41061 -1.58642 3.43761 0.1 0.0 0.1
C -1.19300 -0.14571 3.53164 -0.1 0.2 0.1
C -1.32188 0.33464 4.84070 -0.1 0.0 -0.1
C -2.53184 0.27366 5.52216 0.0 0.0 0.0
C -3.65660 -0.25137 4.89892 0.0 0.0 0.0
C -3.55730 -0.72832 3.59860 0.1 0.0 0.0
C -2.33601 -0.68396 2.93378 0.0 0.0 0.1
H 1.74597 1.19509 4.35900 0.0 0.0 -0.1
H 0.76094 2.28918 3.38967 0.1 0.0 0.1
H 2.27546 1.63166 2.73345 0.0 0.0 0.1
H 1.60903 -1.39293 4.49838 0.0 -0.1 0.0
H 2.36643 -1.75575 2.93262 0.0 0.0 0.0
H 0.83199 -2.50907 3.35985 0.0 0.0 0.0
H -0.45840 0.76121 5.34310 0.0 0.0 0.0
H -2.59751 0.62964 6.54416 0.0 0.0 0.0
H -4.60061 -0.29901 5.42747 0.0 0.0 0.0
H -4.42882 -1.14393 3.10553 0.0 0.0 0.0
H -2.25420 -1.10982 1.93905 0.0 0.0 0.0
O 2.62848 -0.49636 -0.25066 1.3 0.1 1.1
N 3.00242 -1.11414 -1.31391 -1.2 0.5 -0.7
C 3.75123 -0.44856 -2.21630 0.6 0.1 -0.4
C 3.86166 -0.89848 -3.51453 0.3 0.2 0.1
C 3.20732 -2.05357 -3.90616 0.1 -0.1 -0.2
C 2.50702 -2.75546 -2.94764 0.0 -0.3 0.3
C 2.42089 -2.27865 -1.65278 0.1 -0.8 -0.1
H 4.23439 0.43452 -1.82483 -0.1 0.1 -0.1
H 4.47382 -0.34040 -4.21065 0.0 0.0 0.0
H 3.29356 -2.42545 -4.91815 -0.1 0.1 0.0
H 2.02475 -3.69329 -3.18729 0.0 0.0 0.1
H 1.92212 -2.78628 -0.84189 -0.1 0.0 -0.1
```
Forces are in eV/Å.
- - -

How can schools and districts use ARP funds for students experiencing homelessness?

1. Increase outreach and identification by:

Center equity in ESSER funds decisions.

Center equity in ESSER funds decisions. Black, Latinx, Native American and Pacific Islander students are more likely to experience homelessness than White students; LGBTQ students also are more likely to experience homelessness than heterosexual or cisgender students. Hire diverse outreach staff, translate all materials, and ensure cultural competence and sensitivity to the impacts of racism and trauma, as well as to the strengths of these populations, in outreach and service provision. Provide support for liaisons to understand the unique needs of students and families of color experiencing homelessness, including how to center anti-racist approaches in conversations and interactions with them.

2. Enhance communication options with students and families.

3. Increase counseling and social work services.

Kansas City Public Schools in Kansas City, Missouri
Kansas City Public Schools purchased phones with one and two year contracts for McKinney-Vento high school seniors. Related blog: Creative Ways to Reach Students Experiencing Homelessness During COVID-19, written by Melissa Douglas, Homeless Liaison, Kansas City Public Schools, MO
Paducah Public Schools in Paducah, Kentucky
Paducah Public Schools in KY purchased a van with community donations, and the McKinney-Vento program has teamed up with school nutrition to provide school supplies, hygiene items and food.

4. Hire “systems navigators” to help families and youth access education and other ARP services, such as shelter, utilities, housing and rental assistance, child care, Head Start, unemployment, and tax credits.

5. Provide academic coaching, in-person enrichment opportunities, and access to summer learning.

Confluence Academies Charter School in St. Louis, MO
Confluence Academies Charter School in St. Louis, MO set up virtual academy centers in school buildings and the community soon after buildings closed, providing transportation, meals, and teachers to help with distance learning.
Steve Smith Foundation in Charlotte, North Carolina
The Steve Smith Foundation in Charlotte, North Carolina set-up an in-person learning center for approximately 105 students experiencing homelessness in grades K-5. The Foundation works with the Charlotte-Mecklenburg school district to ensure all students receive meals, in addition to access to technology and support for learning.

6. Offer early childhood education services for young children experiencing homelessness.

7. Make systems and processes more McKinney-Vento friendly.

8. Help meet rising mental health needs.

9. Provide more and better transportation options – in cases where it has been determined to be the most cost-effective available transportation option, and where the LEA has received written approval from the SEA, if the purchase amounts to a cost greater than $5,000 and is expected to remain in use for a period of more than one year.